The assassination of James Garfield, left, led his successor, Chester Arthur, to sign the law creating the competitive civil service. Buyenlarge/Getty
That Time Reformers Took on Cronyism, Nepotism and Alcoholism in the Federal Workforce
How the Pendleton Act created the modern civil service.
The latest in an intermittent series looking back at groundbreaking, newsmaking, appalling and amusing events in government history.
In 1883, President Chester A. Arthur signed the Pendleton Act, designed to professionalize the federal workforce. The law was very clear about who had no business working in government:
“No person habitually using intoxicating beverages to excess shall be appointed to, or retained in, any office, appointment, or employment to which the provisions of this act are applicable,” it stated.
Truth be told, alcoholics weren’t the central concern of the reformers behind the Pendleton Act. Their prime target was the political cronies of elected officials, who were rewarded for their support—financial and otherwise—of successful candidates with patronage positions in government. To the political victors went the spoils of plum government positions—and non-plum jobs, too.
The law also targeted nepotism in federal employment. “Whenever there are already two or more members of a family in the public service in the grades covered by this act, no other member of such family shall be eligible to appointment to any of said grades,” it stated.
The idea was to overhaul a system where not only were unqualified people appointed to federal jobs, but employees could be fired at any time simply for supporting the wrong party. The system had been in place for decades, and efforts to create a professional civil service had failed to gain much traction. President Ulysses S. Grant signed a law creating a Civil Service Commission in 1871, but it was largely toothless. The commission’s funding ran out after two years, and Congress didn’t renew it.
The situation changed in 1881, when Charles Guiteau, angry that he hadn’t received an appointment to a federal job, assassinated President James Garfield. Guiteau, an unsuccessful lawyer, had delivered a couple of speeches in favor of Garfield’s candidacy, and believed that this entitled him to the post of ambassador to Austria. He appeared to be aware, however, that his qualifications weren’t strong, because he relied on a simpler argument in a letter to Garfield formally requesting the position. “On the principle of first come first served,” Guiteau wrote, “I have faith that you will give this application favorable consideration.”
With Garfield’s assassination, civil service reform suddenly became a hot-button political issue nationally. Arthur, who succeeded Garfield, backed the idea even though he had been an enthusiastic user of the spoils system in a stint as head of the federal customs house in New York. In fact, in 1878, President Rutherford B. Hayes fired Arthur from his customs position for giving away too many patronage jobs.
## Attached: materials data
<<<
Entry 1:
Diffraction record for Pa5Sb3C. The powder diffraction line list is simulated, not measured: it uses DFT lattice parameters and positions (GGA-PBE) and Cu Kα (weighted mean of Kα1 and Kα2).
Intensities are scaled so that the largest is 100.

The 10 most intense peaks (10 to 90 degrees two-theta), by angle:
d = 2.961 Å, I = 42; d = 2.816 Å, I = 28; d = 2.658 Å, I = 100; d = 2.611 Å, I = 26; d = 2.510 Å, I = 58; d = 1.810 Å, I = 22; d = 1.710 Å, I = 19; d = 1.664 Å, I = 25; d = 1.643 Å, I = 15; d = 1.391 Å, I = 22

Cell and atoms:
a = 9.046 Å, b = 9.046 Å, c = 6.035 Å
α = 90.00°, β = 90.00°, γ = 120.00°
Atoms (fractional coordinates):
Pa 0.000 0.223 0.250
Pa 0.000 0.777 0.750
Pa 0.223 0.000 0.250
Pa 0.223 0.223 0.750
Pa 0.333 0.667 0.000
Pa 0.333 0.667 0.500
Pa 0.667 0.333 0.000
Pa 0.667 0.333 0.500
Pa 0.777 0.000 0.750
Pa 0.777 0.777 0.250
Sb 0.000 0.395 0.750
Sb 0.000 0.605 0.250
Sb 0.395 0.000 0.750
Sb 0.395 0.395 0.250
Sb 0.605 0.000 0.250
Sb 0.605 0.605 0.750
C 0.000 0.000 0.000
C 0.000 0.000 0.500



Entry 2:
Diffraction record for Ba7Mg2Ga2. The powder diffraction line list is simulated, not measured: it uses DFT lattice parameters and positions (GGA-PBE) and Cu Kα (weighted mean of Kα1 and Kα2).
Intensities are scaled so that the largest is 100.

The 10 most intense peaks (10 to 90 degrees two-theta), by angle:
d = 3.943 Å, I = 44; d = 3.768 Å, I = 48; d = 3.518 Å, I = 100; d = 3.178 Å, I = 42; d = 3.082 Å, I = 50; d = 2.926 Å, I = 39; d = 2.829 Å, I = 45; d = 2.356 Å, I = 57; d = 2.213 Å, I = 21; d = 1.600 Å, I = 21

Cell and atoms:
a = 7.507 Å, b = 7.507 Å, c = 9.520 Å
α = 90.00°, β = 90.00°, γ = 110.40°
Atoms (fractional coordinates):
Ba 0.000 0.000 0.000
Ba 0.000 0.500 0.293
Ba 0.000 0.500 0.707
Ba 0.500 0.000 0.293
Ba 0.500 0.000 0.707
Ba 0.500 0.500 0.321
Ba 0.500 0.500 0.679
Mg 0.354 0.646 0.000
Mg 0.646 0.354 0.000
Ga 0.147 0.147 0.500
Ga 0.853 0.853 0.500



Entry 3:
Diffraction record for Ho5Sb2Pt. The powder diffraction line list is simulated, not measured: it uses DFT lattice parameters and positions (GGA-PBE) and Cu Kα (weighted mean of Kα1 and Kα2).
Intensities are scaled so that the largest is 100.

The 10 most intense peaks (10 to 90 degrees two-theta), by angle:
d = 7.608 Å, I = 100; d = 5.234 Å, I = 82; d = 3.886 Å, I = 34; d = 3.096 Å, I = 41; d = 2.910 Å, I = 89; d = 2.845 Å, I = 39; d = 2.787 Å, I = 92; d = 2.671 Å, I = 47; d = 2.262 Å, I = 43; d = 2.013 Å, I = 63

Cell and atoms:
a = 8.103 Å, b = 8.103 Å, c = 13.558 Å
α = 90.00°, β = 90.00°, γ = 139.76°
Atoms (fractional coordinates):
Ho 0.075 0.925 0.616
Ho 0.075 0.925 0.884
Ho 0.280 0.720 0.250
Ho 0.299 0.701 0.561
Ho 0.299 0.701 0.939
Ho 0.701 0.299 0.061
Ho 0.701 0.299 0.439
Ho 0.720 0.280 0.750
Ho 0.925 0.075 0.116
Ho 0.925 0.075 0.384
Sb 0.127 0.873 0.096
Sb 0.127 0.873 0.404
Sb 0.873 0.127 0.596
Sb 0.873 0.127 0.904
Pt 0.208 0.792 0.750
Pt 0.792 0.208 0.250



Entry 4:
>>>
The Pendleton Act required open, competitive examinations for certain positions in the civil service, ensured that employees in these positions would not be required to contribute to political campaigns, and declared that “no officer or employee of the United States mentioned in this act shall discharge, or promote, or degrade, or in manner change the official rank or compensation of any other officer or employee, or promise or threaten so to do, for giving or withholding or neglecting to make any contribution of money or other valuable thing for any political purpose.”
The Pendleton Act not only funded the Civil Service Commission, but ordered that its three members not be stuck in some bureaucratic backwater. “It shall be the duty of the Secretary of the Interior to cause suitable and convenient rooms and accommodations to be assigned or provided, and to be furnished, heated, and lighted, at the city of Washington, for carrying on the work of said commission,” the law stated.
So with a stroke of the pen, Arthur brought an end to the spoils system and ushered in a new competitive, professional civil service. Well, not exactly. For starters, the law applied only to a fraction of the federal workforce. It covered employees at federal offices in Washington and customs houses and post offices in major cities.
In his book Roosevelt the Reformer, on Theodore Roosevelt’s years as a crusader for civil service reform, Richard D. White notes that the Pendleton Act initially covered 14,000 federal employees out of a total workforce of 133,000 people. From 1883 to 1901, the number of patronage positions in government actually increased, from 118,000 to 150,000. The commission lacked the authority to shift patronage positions into the merit system and had to busy itself with overseeing the examination process for those positions that were classified as competitive.
On top of that, opponents of reform continued to fight to undermine the Pendleton Act for years. Spoils system backers filled the halls of Congress, and presidents were slow to change traditional practices as well. It would take years before a truly independent, professional civil service emerged.
Eventually, though, competitive examinations became the rule for federal government positions. That lasted until 1981, when a class action lawsuit alleged that the Professional and Administrative Careers Examination discriminated against Black and Hispanic applicants for federal jobs. That led to a consent decree eliminating the exam. In the years that followed, a patchwork system of other competitive procedures and special hiring programs emerged, leading to the fragmented civil service system we have today.
The Pendleton Act has reentered the public debate again recently, as Republicans seek to turn the federal workforce into at-will employees, via either the Public Service Reform Act or the reincarnation of Schedule F, a job classification system proposed but never fully implemented near the end of the Trump administration to make employees in policy-related positions subject to removal by their political overseers. For the first time in more than 100 years, the very idea of a competitive civil service, insulated from political pressures, is under attack.